There was one solitary Catholic signatory to the Declaration
of Independence: Charles Carroll. He
arrived too late to Philadelphia to participate in the preparation of the
document, or to vote to ratify it; nonetheless he was permitted to contribute
his consent to the final product.
What a privilege! you might
think. Such a signal moment in the development of the new nation! One for the history books! You will dine out on this for the rest of
your life! Who would not jump at the
chance? As it turns out, the
Founding Fathers saw it with a bit more nuance.
They realized that in committing to signing the Declaration of
Independence, they were putting their names to a formal act of rebellion. Should the forces of King George III lay hold
of them, they would be liable for the proper penalty: death.
Because of that, one of the other members of that august
body complained that with a name as common as Charles Carroll’s, he was risking
nothing, since if circumstances turned against their endeavor, he might
disappear into the mists of a multitude.
Mr. Carroll wasted no time in clarifying his personal
commitment: he leapt up, took the pen a second time, and modified his signature
to read: Charles Carroll of Carrollton.
This removed all doubt as to his unique identity and responsibility.
Often on national holidays we recall the cost of our
freedom, paid in the lives sacrificed for her protection. However, at the same time we fail to call to
mind the risk that our nation
required, especially of those Founding Fathers and all who strove with them. Is it possible that her continuance require
risk of us who are her citizens?
As we in our nation move toward another vote, Charles
Carroll’s willingness to take a personal risk to obtain a political good draws
my attention. In these days when one can
obtain insurance for almost anything, what risks are we taking, not only
corporately as a nation, but also individually?
Do any of our prospective leaders demonstrate a willingness
to take personal risk, like Charles Carroll did? Or are they only offering “power” (or the
illusion of it) to the people who embrace them?
Do they assure their prospective supporters that all will be set right simply
by “taking back” what has been wrongly obtained by some anonymous, amorphous
someone “else” – the so-called “wealthy” or the ever-threatening
I am always nervous when someone promises to make the
“wealthy” pay what is needed for this or that.
This is the wealthiest nation in the history of the world. By historical standards, we are all the “wealthy;” almost nobody is
immune to that appellation. The only one
who seems to be exempt from having to pay is the one advocating the
program. Who, if anyone, bears the
burden of risk for their politics? Who,
if anyone, is risking more of himself personally than of the nation
**Misplaced records of crystals:**
'''
Material: Tb2Pm2DyMg5
Method: DFT, PBE
State: optimized geometry

```
Tb2Pm2DyMg5
1.0
5.092 0.000 0.000
0.000 10.621 0.000
0.000 0.000 10.621
Tb Pm Dy Mg
4 4 2 10
direct
0.000 0.121 0.621 Tb
0.000 0.879 0.379 Tb
0.000 0.621 0.879 Tb
0.000 0.379 0.121 Tb
0.000 0.677 0.177 Pm
0.000 0.323 0.823 Pm
0.000 0.177 0.323 Pm
0.000 0.823 0.677 Pm
0.000 0.000 0.000 Dy
0.000 0.500 0.500 Dy
0.500 0.197 0.070 Mg
0.500 0.803 0.930 Mg
0.500 0.070 0.803 Mg
0.500 0.697 0.430 Mg
0.500 0.930 0.197 Mg
0.500 0.303 0.570 Mg
0.500 0.570 0.697 Mg
0.500 0.430 0.303 Mg
0.500 0.500 0.000 Mg
0.500 0.000 0.500 Mg
```

Computed properties:
Energy of formation = 0.04 eV/atom
Fermi-level density of states = 13.7 states/eV per cell
ρ = 5.2 g/cm³


Material: SbPd2W
Method: DFT, PBE
State: optimized geometry

```
SbPd2W
1.0
3.964 0.000 0.000
0.000 3.964 0.000
1.982 1.982 9.442
Sb Pd W
2 4 2
direct
0.500 0.500 0.000 Sb
0.250 0.750 0.500 Sb
0.631 0.125 0.250 Pd
0.119 0.625 0.250 Pd
0.375 0.369 0.750 Pd
0.875 0.881 0.750 Pd
0.000 0.000 0.000 W
0.750 0.250 0.500 W
```

Computed properties:
Fermi-level density of states = 9.3 states/eV per cell
Energy relative to the elements, uncorrected = 454 meV/atom
ρ = 11.6 g/cm³


Material: Zr3Ga4Tc2
Method: DFT, PBE
State: optimized geometry

```
Zr3Ga4Tc2
1.0
-2.975 -3.070 -0.964
5.123 -1.760 -0.247
-2.790 0.298 7.666
Zr Ga Tc
3 4 2
direct
0.656 0.312 0.681 Zr
0.000 0.000 0.000 Zr
0.344 0.688 0.319 Zr
0.711 0.421 0.058 Ga
0.289 0.579 0.942 Ga
0.940 0.881 0.621 Ga
0.060 0.119 0.379 Ga
0.677 0.354 0.349 Tc
0.323 0.646 0.651 Tc
```

Computed properties:
Energy of formation = -0.41 eV/atom
Fermi-level density of states = 4.6 states/eV per cell
ρ = 7.7 g/cm³


Material: HfBeGa2Cl
Method: DFT, PBE
State: optimized geometry

```
HfBeGa2Cl
1.0
-4.287 -0.807 -2.534
-0.959 -2.746 2.497
-2.341 3.426 2.869
Be Hf Ga Cl
1 1 2 1
direct
0.000 0.500 0.000 Be
0.500 0.500 0.500 Hf
0.000 0.000 0.500 Ga
0.500 0.000 0.000 Ga
0.000 0.000 0.000 Cl
```

Computed properties:
Fermi-level density of states = 5.1 states/eV per cell
Energy relative to the elements, uncorrected = 633 meV/atom
ρ = 6.2 g/cm³


Material: Ho3ErTm3Se8
Method: DFT, PBE
State: optimized geometry

```
Ho3ErTm3Se8
1.0
-6.514 2.345 -4.093
-0.800 -4.681 6.491
2.242 7.682 0.833
Ho Er Tm Se
3 1 3 8
direct
0.000 0.000 0.000 Ho
0.000 0.500 0.000 Ho
0.500 0.500 0.000 Ho
0.000 0.000 0.500 Er
0.500 0.000 0.500 Tm
0.500 0.500 0.500 Tm
0.000 0.500 0.500 Tm
0.251 0.502 0.253 Se
0.749 0.498 0.747 Se
0.746 0.493 0.249 Se
0.254 0.507 0.751 Se
0.747 0.002 0.249 Se
0.253 0.998 0.751 Se
0.256 0.002 0.249 Se
0.744 0.998 0.751 Se
```

Computed properties:
Fermi-level density of states = 5.9 states/eV per cell
Energy relative to the elements, uncorrected = -1794 meV/atom
ρ = 8.1 g/cm³


Material: BaSr2LiCd
Method: DFT, PBE
State: optimized geometry

```
BaSr2LiCd
1.0
-6.066 1.079 2.051
-2.296 -2.026 -5.726
-0.262 -5.102 1.910
Sr Li Ba Cd
2 1 1 1
direct
0.000 0.500 0.000 Sr
0.500 0.000 0.000 Sr
0.000 0.000 0.500 Li
'''
Into a conversation oversaturated with mutually opposed
assertions of rights, perhaps we need inject this question of risk. We all value our freedom, but has it become a
freedom from responsibility? Ask a
candidate for anything: by what measure do you claim to lead us? What, if anything, are you risking for the common good, for our good? Or will
you fade back into privileged security when time comes to pay the costs of your
failed endeavors?
To focus the mind of the delegates preparing the Declaration
of Independence, Benjamin Franklin reminded them, We must all hang together, or assuredly we shall all hang separately. On this day when we are so grateful that they
did, we should be just as mindful that we must.